Monday, March 28, 2011

Living With Hashimoto Syndrome (Part 2)

Continued from Part 1...

Since I was freelancing, I was afraid to stop working for a while – besides, I enjoyed writing. So I kept doing my six articles per day, much to the surprise of my doctor, who couldn't believe I was able to write about 100 articles per month in such a condition. Granted, I barely had energy left for anything else, but I wasn't supposed to be able to do that much, and yet, I was doing it. It was a challenge, to keep doing it in such a condition, and I enjoyed challenges.

Gradually, my condition improved. Very gradually. During that time, I started experiencing strong pain in my hands in the morning. During the first half an hour after I got up, I was barely able to do anything with them, they hurt that much. Later during the day, they almost didn't hurt at all. When I asked my doctor about it, she told me it couldn't be because of my thyroid gland, since my TSH level improved a lot (it still wasn't normal, but was quite close to it). She also told me one autoimmune disease might follow another, so it could be the beginning of the rheumatoid arthritis.

Oh joy.

During a visit to my dentist, I told her about Hashimoto syndrome, to find out that she and her daughter had it too (although her daughter was still very young and her thyroid gland was still functioning, but the antibodies which were to start attacking it were there). I mentioned the problem with my hands, and she told me she had similar problems with her hands and knees too, and that No-Dol capsules helped her a lot, she was taking them for three moths (what it does is helps rebuild cartilage, thus removing the reason for pain) and never needed them after that. I tried them out too, and the problem was gone, so I never checked out whether I really had rheumatoid arthritis.

During all that time, I kept writing, which is what I love doing most. I never stopped. Not when I had problems with my cervix too (and painful biopsies, and laser vaporizations, ouch). Not when my boyfriend (we've been together for thirteen years now, we're living together, and he's been very supportive all the time) got ill with bronchitis and it went on and on.

I kept writing, not just the usual amount of articles, but short stories too, and I got a book published. A book with 26 short stories, horror, fantasy, fairy tales retold, under the title “Macji snovi” (it means “Cat Dreams”). Finally, my first book published! And with the cover done by one of the most famous illustrators in Serbia!

My publisher was very supportive too, and waited for me to finish the book. Right now, she's waiting for me to finish another one.

Someone pasted quantum chemistry results at this point.
********
(1)
ORCA calculation (ωB97M-V/def2-TZVPD) on a cluster of 2 separate species, CH4O2P2 in total.

Energy above the lowest of the compared OMol25 structures with the same formula, charge and spin ... 80.7 kcal per mole
E ... -23771.6624 eV
Orbital gap ... 6.406 eV
Multiplicity ... 1

Atoms and positions in Å:
C  0.05537  -0.09796  0.35029
O  -4.35022  -0.71538  0.49341
O  -2.85752  1.24409  0.29086
P  -2.97062  -0.25223  0.19000
P  -0.21146  1.57257  -0.15078
H  0.10782  -0.19100  1.49841
H  -1.08090  -0.63379  0.24444
H  0.92130  -0.44771  -0.15584
H  -0.35628  1.11848  -1.41421

Results of the Löwdin charge analysis, in e, for atoms 1 through 2: -0.528 -0.449

***

(2)
ORCA calculation (ωB97M-V/def2-TZVPD) on a cluster of 4 separate species, C21H64ClN9O4P4Si in total.

SMILES ... C[C@H](Cl)C[SiH2][PH2]=O.CN(C)P(=O)(N(C)C)N(C)C.CN(C)P(=O)(N(C)C)N(C)C.CN(C)P(=O)(N(C)C)N(C)C
E ... -101970.8678 eV
Orbital gap ... 8.718 eV
Multiplicity ... 1

Atoms and positions in Å:
C  -2.85763  4.29486  -3.93435
C  -2.35109  3.90184  -5.32939
Cl  -3.50441  2.72957  -6.05554
C  -0.91105  3.40121  -5.35622
Si  -0.54504  1.86528  -4.30727
P  -1.43362  -0.00153  -5.23616
O  -0.38790  -1.05541  -5.39018
H  -3.46392  3.49901  -3.49775
H  -3.54262  5.14112  -4.05411
H  -2.06024  4.62877  -3.26901
H  -2.41990  4.79246  -5.95840
H  -0.22303  4.19902  -5.06114
H  -0.67797  3.12177  -6.39132
H  -0.89659  2.02940  -2.88347
H  0.91433  1.65425  -4.36863
H  -2.02221  0.31645  -6.47540
H  -2.42132  -0.46072  -4.33425
O  1.78866  2.18932  -0.46346
P  1.95136  1.22502  0.65970
N  3.61881  1.40117  1.03770
C  4.41727  0.41585  1.74135
C  4.00999  2.76032  1.41505
N  1.66149  -0.24302  -0.18041
C  2.47049  -1.43597  -0.01578
C  1.25234  -0.12563  -1.57533
N  1.46429  0.52435  2.16680
C  0.10731  -0.07946  2.13264
C  1.42397  1.51372  3.27605
H  4.17055  0.31550  2.80837
H  5.46946  0.70283  1.68152
H  4.35460  -0.56572  1.28618
H  3.61146  3.07395  2.38832
H  3.65944  3.47493  0.67062
H  5.09629  2.84422  1.46327
H  3.45549  -1.33748  -0.48910
H  1.96854  -2.29088  -0.47708
H  2.59430  -1.70083  1.03468
H  2.09666  0.11376  -2.23267
H  0.49449  0.64119  -1.69475
H  0.80442  -1.06132  -1.91999
H  -0.66149  0.64585  1.84921
H  -0.13258  -0.47117  3.12224
H  0.05441  -0.91636  1.44518
H  0.82723  2.39474  3.02597
H  2.42203  1.84157  3.55906
H  1.00305  1.06065  4.17158
O  -3.37684  -3.47116  -5.45817
P  -2.76437  -4.68140  -6.07250
N  -2.43339  -4.14187  -7.66729
C  -2.24996  -4.99697  -8.82285
C  -1.53887  -2.98375  -7.71266
N  -4.12620  -5.72887  -6.04622
C  -4.51136  -6.56492  -7.16718
C  -5.32424  -5.23118  -5.37972
N  -1.66554  -6.02217  -6.06375
C  -1.87836  -6.96872  -4.93879
C  -0.24474  -5.59933  -5.95495
H  -1.31354  -5.57430  -8.81233
H  -2.23417  -4.37827  -9.72275
H  -3.07205  -5.69071  -8.95804
H  -0.51250  -3.22103  -7.41306
H  -1.89345  -2.21136  -7.03729
H  -1.49652  -2.55410  -8.71516
H  -4.94902  -5.98266  -7.98797
H  -5.26024  -7.29471  -6.84646
********

It's not done yet, though, and I don't mean just the book. I'm not sure it can ever really be “done”, that some ideal condition can be achieved. Since my thyroid gland doesn't work, I'll have to keep taking synthetic hormones for the rest of my life, and it's hard to determine just how much exactly I should take, because it varies, and the TSH test results are not the only thing that matters, it also matters how I feel. My doctor tells me that I respond great to the therapy, that my body responds pretty much “by the book”, which is rare, but it's still not perfect. Right now, my TSH level shows I'm fine (it's 3 something, closer to the upper than to the lower limit), but I sweat a bit too much, feel it's too hot while people around me are freezing (actually, quite useful during the cold winter days), and I'm often restless.

Still, restless means I have energy – much more energy than I used to. And it matters a lot. My dentist told me that people with my (and her) condition should rest as much as we could, because we tired easily. However, while I'm lazy, I'm also 34. What am I going to do for the rest of my life, to spend most of my time resting? No way! There's too much I want to do, mostly writing, not to mention that spending entire life resting doesn't sound like an enjoyable idea to me.

So I write, I dream, I create, I love, I am loved, I try and learn something new whenever I can...

I live. With all the troubles and all the joy, with Hashimoto syndrome as a constant companion for the rest of my life, I live.

I write, I dream, I create, I love... Photo by Serena


cathy said...

It seems we of the modern age move much too fast anyway. I look at your dilemma this way - if you must slow down a little - which given the innate characteristics of your condition, it seems you must - why not take the opportunity to smell the roses you may have otherwise overlooked? :)

Kelly Hashway said...

On a positive note, writing can be done while relaxing. Hopefully it will give you comfort while you are taking care of yourself.

angel011 said...

Cathy, Kelly, thanks for dropping by!

The thing is, I always feel like I'm underachieving. It doesn't matter how much I actually do, I always feel like I could have done more. So it's hard to relax while I think of those things, and while I think of what I'm going to do next.

On the other side, even if I don't relax, I enjoy thinking about writing.

Samantha Sotto said...

I agree with Kelly. The writing process can be a soothing and healing experience. It's so important to take a moment to slow down and just breathe. :)

angel011 said...

Writing is definitely a soothing and a healing experience. I doubt I could have done so much in such a condition if it was anything but writing.

catzgarden said...

What a great blog! I like your spunk, your spark, your special voice. I think you are an original and special girl.

Keep writing - and I'll keep reading!

angel011 said...

Thanks, I'm glad you liked it!